[Assignment]
Please reproduce the whole of the block further down unchanged.

[Data]
____________
Diffraction record for Cu7As. The PXRD pattern is computed, not measured: it uses DFT lattice parameters and positions (GGA-PBE) and Cu Kα (weighted mean of Kα1 and Kα2).

Structural model:
Lattice parameters (Å, degrees): 5.226 5.226 5.226 60.00 60.00 60.00
Positions (direct):
Cu: 0.000 0.000 0.000
Cu: 0.000 0.000 0.500
Cu: 0.000 0.500 0.000
Cu: 0.000 0.500 0.500
Cu: 0.500 0.000 0.000
Cu: 0.500 0.000 0.500
Cu: 0.500 0.500 0.000
As: 0.500 0.500 0.500

The 4 most intense peaks (2θ = 10–90°), by intensity:
2θ/deg, Rel. int.
42.37, 100.0
49.32, 47.0
87.57, 32.4
72.33, 27.4


Diffraction record for Cu5As2. The PXRD pattern is computed, not measured: it uses DFT lattice parameters and positions (GGA-PBE) and Cu Kα (weighted mean of Kα1 and Kα2).

Structural model:
Lattice parameters (Å, degrees): 5.516 5.983 6.569 116.77 90.03 90.02
Positions (direct):
Cu: 0.000 0.086 0.225
Cu: 0.000 0.914 0.775
Cu: 0.240 0.500 0.500
Cu: 0.257 0.308 0.049
Cu: 0.258 0.692 0.952
Cu: 0.499 0.285 0.700
Cu: 0.501 0.715 0.300
Cu: 0.742 0.308 0.048
Cu: 0.743 0.692 0.951
Cu: 0.760 0.500 0.500
As: 0.000 0.287 0.699
As: 0.000 0.713 0.301
As: 0.499 0.117 0.270
As: 0.501 0.883 0.730

The 10 most intense peaks (2θ = 10–90°), by intensity:
2θ/deg, Rel. int.
44.69, 100.0
45.13, 98.1
43.33, 67.9
36.68, 46.5
41.26, 40.9
46.13, 36.6
43.07, 24.9
89.65, 22.2
84.13, 17.4
67.98, 17.0


Diffraction record for Cu5As2. The PXRD pattern is computed, not measured: it uses DFT lattice parameters and positions (GGA-PBE) and Cu Kα (weighted mean of Kα1 and Kα2).

Structural model:
Lattice parameters (Å, degrees): 7.110 7.110 7.110 129.85 70.27 134.18
Positions (direct):
Cu: 0.021 0.250 0.771
Cu: 0.107 0.695 0.802
Cu: 0.250 0.250 0.000
Cu: 0.393 0.195 0.588
Cu: 0.479 0.250 0.229
Cu: 0.521 0.750 0.771
Cu: 0.607 0.805 0.412
Cu: 0.750 0.750 0.000
Cu: 0.893 0.305 0.198
Cu: 0.979 0.750 0.229
As: 0.116 0.281 0.396
As: 0.384 0.781 0.165
As: 0.616 0.219 0.835
As: 0.884 0.719 0.604

The 10 most intense peaks (2θ = 10–90°), by intensity:
2θ/deg, Rel. int.
44.45, 100.0
45.24, 97.0
43.24, 93.1
36.55, 36.1
41.62, 29.7
83.81, 26.2
70.70, 25.9
45.84, 25.7
81.30, 16.1
79.60, 16.0


Diffraction record for DyCu2AsP. The PXRD pattern is computed, not measured: it uses DFT lattice parameters and positions (GGA-PBE) and Cu Kα (weighted mean of Kα1 and Kα2).

Structural model:
Lattice parameters (Å, degrees): 7.093 7.093 7.093 131.29 131.29 71.35
Positions (direct):
Dy: 0.000 0.000 0.000
Dy: 0.500 0.500 0.000
Cu: 0.008 0.508 0.123
Cu: 0.385 0.885 0.877
Cu: 0.508 0.385 0.500
Cu: 0.885 0.008 0.500
As: 0.025 0.525 0.500
As: 0.525 0.025 0.500
P: 0.262 0.262 0.000
P: 0.762 0.762 0.000

The 10 most intense peaks (2θ = 10–90°), by intensity:
2θ/deg, Rel. int.
34.39, 100.0
44.12, 46.5
15.38, 43.4
43.77, 36.0
31.04, 35.3
30.56, 24.2
54.63, 23.3
35.18, 18.9
21.48, 18.2
26.53, 15.8


Diffraction record for Dy8CuTe4As3. The PXRD pattern is computed, not measured: it uses DFT lattice parameters and positions (GGA-PBE) and Cu Kα (weighted mean of Kα1 and Kα2).

Structural model:
Lattice parameters (Å, degrees): 8.543 8.543 8.543 58.93 58.93 58.93
Positions (direct):
Dy: 0.239 0.239 0.239
Dy: 0.245 0.737 0.737
Dy: 0.263 0.263 0.755
Dy: 0.263 0.755 0.263
Dy: 0.737 0.245 0.737
Dy: 0.737 0.737 0.245
Dy: 0.755 0.263 0.263
Dy: 0.761 0.761 0.761
Cu: 0.500 0.500 0.500
Te: 0.000 0.000 0.000
Te: 0.000 0.500 0.500
Te: 0.500 0.000 0.500
Te: 0.500 0.500 0.000
As: 0.000 0.000 0.500
As: 0.000 0.500 0.000
As: 0.500 0.000 0.000

The 10 most intense peaks (2θ = 10–90°), by intensity:
2θ/deg, Rel. int.
29.83, 100.0
43.05, 38.2
42.33, 34.0
53.26, 19.6
70.80, 16.6
69.76, 12.3
78.42, 11.0
61.97, 10.9
25.90, 7.5
32.49, 6.9


Diffraction record for CuAsF7. The PXRD pattern is computed, not measured: it uses DFT lattice parameters and positions (GGA-PBE) and Cu Kα (weighted mean of Kα1 and Kα2).

Structural model:
Lattice parameters (Å, degrees): 7.369 7.369 7.369 123.52 84.00 123.53
Positions (direct):
Cu: 0.500 0.000 0.000
____________

[Response]
Diffraction record for Cu7As. The PXRD pattern is computed, not measured: it uses DFT lattice parameters and positions (GGA-PBE) and Cu Kα (weighted mean of Kα1 and Kα2).

Structural model:
Lattice parameters (Å, degrees): 5.226 5.226 5.226 60.00 60.00 60.00
Positions (direct):
Cu: 0.000 0.000 0.000
Cu: 0.000 0.000 0.500
Cu: 0.000 0.500 0.000
Cu: 0.000 0.500 0.500
Cu: 0.500 0.000 0.000
Cu: 0.500 0.000 0.500
Cu: 0.500 0.500 0.000
As: 0.500 0.500 0.500

The 4 most intense peaks (2θ = 10–90°), by intensity:
2θ/deg, Rel. int.
42.37, 100.0
49.32, 47.0
87.57, 32.4
72.33, 27.4


Diffraction record for Cu5As2. The PXRD pattern is computed, not measured: it uses DFT lattice parameters and positions (GGA-PBE) and Cu Kα (weighted mean of Kα1 and Kα2).

Structural model:
Lattice parameters (Å, degrees): 5.516 5.983 6.569 116.77 90.03 90.02
Positions (direct):
Cu: 0.000 0.086 0.225
Cu: 0.000 0.914 0.775
Cu: 0.240 0.500 0.500
Cu: 0.257 0.308 0.049
Cu: 0.258 0.692 0.952
Cu: 0.499 0.285 0.700
Cu: 0.501 0.715 0.300
Cu: 0.742 0.308 0.048
Cu: 0.743 0.692 0.951
Cu: 0.760 0.500 0.500
As: 0.000 0.287 0.699
As: 0.000 0.713 0.301
As: 0.499 0.117 0.270
As: 0.501 0.883 0.730

The 10 most intense peaks (2θ = 10–90°), by intensity:
2θ/deg, Rel. int.
44.69, 100.0
45.13, 98.1
43.33, 67.9
36.68, 46.5
41.26, 40.9
46.13, 36.6
43.07, 24.9
89.65, 22.2
84.13, 17.4
67.98, 17.0


Diffraction record for Cu5As2. The PXRD pattern is computed, not measured: it uses DFT lattice parameters and positions (GGA-PBE) and Cu Kα (weighted mean of Kα1 and Kα2).

Structural model:
Lattice parameters (Å, degrees): 7.110 7.110 7.110 129.85 70.27 134.18
Positions (direct):
Cu: 0.021 0.250 0.771
Cu: 0.107 0.695 0.802
Cu: 0.250 0.250 0.000
Cu: 0.393 0.195 0.588
Cu: 0.479 0.250 0.229
Cu: 0.521 0.750 0.771
Cu: 0.607 0.805 0.412
Cu: 0.750 0.750 0.000
Cu: 0.893 0.305 0.198
Cu: 0.979 0.750 0.229
As: 0.116 0.281 0.396
As: 0.384 0.781 0.165
As: 0.616 0.219 0.835
As: 0.884 0.719 0.604

The 10 most intense peaks (2θ = 10–90°), by intensity:
2θ/deg, Rel. int.
44.45, 100.0
45.24, 97.0
43.24, 93.1
36.55, 36.1
41.62, 29.7
83.81, 26.2
70.70, 25.9
45.84, 25.7
81.30, 16.1
79.60, 16.0


Diffraction record for DyCu2AsP. The PXRD pattern is computed, not measured: it uses DFT lattice parameters and positions (GGA-PBE) and Cu Kα (weighted mean of Kα1 and Kα2).

Structural model:
Lattice parameters (Å, degrees): 7.093 7.093 7.093 131.29 131.29 71.35
Positions (direct):
Dy: 0.000 0.000 0.000
Dy: 0.500 0.500 0.000
Cu: 0.008 0.508 0.123
Cu: 0.385 0.885 0.877
Cu: 0.508 0.385 0.500
Cu: 0.885 0.008 0.500
As: 0.025 0.525 0.500
As: 0.525 0.025 0.500
P: 0.262 0.262 0.000
P: 0.762 0.762 0.000

The 10 most intense peaks (2θ = 10–90°), by intensity:
2θ/deg, Rel. int.
34.39, 100.0
44.12, 46.5
15.38, 43.4
43.77, 36.0
31.04, 35.3
30.56, 24.2
54.63, 23.3
35.18, 18.9
21.48, 18.2
26.53, 15.8


Diffraction record for Dy8CuTe4As3. The PXRD pattern is computed, not measured: it uses DFT lattice parameters and positions (GGA-PBE) and Cu Kα (weighted mean of Kα1 and Kα2).

Structural model:
Lattice parameters (Å, degrees): 8.543 8.543 8.543 58.93 58.93 58.93
Positions (direct):
Dy: 0.239 0.239 0.239
Dy: 0.245 0.737 0.737
Dy: 0.263 0.263 0.755
Dy: 0.263 0.755 0.263
Dy: 0.737 0.245 0.737
Dy: 0.737 0.737 0.245
Dy: 0.755 0.263 0.263
Dy: 0.761 0.761 0.761
Cu: 0.500 0.500 0.500
Te: 0.000 0.000 0.000
Te: 0.000 0.500 0.500
Te: 0.500 0.000 0.500
Te: 0.500 0.500 0.000
As: 0.000 0.000 0.500
As: 0.000 0.500 0.000
As: 0.500 0.000 0.000

The 10 most intense peaks (2θ = 10–90°), by intensity:
2θ/deg, Rel. int.
29.83, 100.0
43.05, 38.2
42.33, 34.0
53.26, 19.6
70.80, 16.6
69.76, 12.3
78.42, 11.0
61.97, 10.9
25.90, 7.5
32.49, 6.9


Diffraction record for CuAsF7. The PXRD pattern is computed, not measured: it uses DFT lattice parameters and positions (GGA-PBE) and Cu Kα (weighted mean of Kα1 and Kα2).

Structural model:
Lattice parameters (Å, degrees): 7.369 7.369 7.369 123.52 84.00 123.53
Positions (direct):
Cu: 0.500 0.000 0.000